Thus the Question, “If It’s Tourist Season, Why Can’t We Shoot Them?”

Exhibit Label Lessons, or Be Like Liedtke

Curator’s Comment, Part the First: Beverly Serrell, in her opening paragraph to Chapter 6, said exhibit labels should provide, “information about objects accessible to visitors with different backgrounds and interests.” This may not be what she had in mind (even if it might be effective):

'Art rhetoric' - 'Normal language'


Curator’s Comment, Part the Second: Or you could skip all that layering and just write compelling, provocative labels, like Walter Liedtke, who died tragically last year, did. Here’s his label for the Merrymakers at Shrovetide:

Interactive Museum Hologram is Too Historically Accurate

Fine for late-night NBC, but maybe a wee NSFW

Donald Trump, Through the Ages

Actually By John Flowers

From McSweeney’s

The ancestry of Donald Trump stretches back to the Ancient World. Listen, as several of Trump’s forebears recount some of the most famous moments in history.

The Death of Julius Caesar

So this is, maybe, a week after the Ides of March. I’m in Rome. I got a new coliseum there. Great coliseum. I build a lot them. Make a lot of money. Very successful.

So I’m in Rome. And Brutus and his cabal ask me to say a few words about Caesar. Really, begging me to say something about him. And Brutus is an honorable guy. So, I’m like, “Sure. Whatever.”

But then right before my speech, Brutus comes up to me — he’s real nervous, Brutus — and he says, “Whatever you do in your speech, don’t blame me for Caesar’s death.”

I think, “That’s odd.” But, whatever. Brutus is an honorable guy.

So I deliver this speech. Great speech. Tremendous speech. It’s about Caesar. He’s dead. Lot of emotions. Really brings down the house. I get rave reviews for the speech. Rave reviews. Everybody loves it.

Records of molecules, kept here for reference =
-- begin --
A structure of composition C19H15N3O7SV. Source: the OMol25 dataset; level of theory: ωB97M-V/def2-TZVPD.

The geometry in XYZ format:
```
46
Properties=species:S:1:pos:R:3:forces:R:3
V 0.44536 0.20088 -0.39740 0.099 0.088 0.319
C 0.24756 -5.12048 6.35716 0.005 0.031 -0.023
C 0.60207 -4.01233 5.40241 -0.006 -0.076 0.052
C 1.34847 -4.27280 4.25704 0.021 -0.008 -0.027
C 1.65867 -3.26035 3.36257 0.009 -0.028 0.019
C 1.21284 -1.97478 3.62120 -0.066 0.081 -0.020
C 0.48570 -1.68267 4.76602 -0.030 -0.019 0.004
C 0.18319 -2.70587 5.64812 -0.024 0.054 0.025
S 1.55168 -0.68647 2.46712 0.044 -0.337 0.066
O 2.61895 -1.15159 1.62535 0.112 -0.038 -0.027
O 1.69555 0.53615 3.19030 -0.063 0.310 -0.071
N 0.19084 -0.55427 1.54248 0.196 0.035 -0.250
C -0.40460 -1.70551 1.02449 0.130 0.211 0.151
C -1.08577 -2.71854 1.69478 -0.076 -0.180 -0.082
C -1.67900 -3.70314 0.93006 0.037 0.054 0.038
C -1.61803 -3.66373 -0.46481 0.064 0.108 -0.023
C -0.96079 -2.61057 -1.05977 -0.076 -0.146 0.007
N -0.36001 -1.67798 -0.31394 -0.171 0.112 -0.375
H 0.96420 -5.93822 6.29729 0.004 -0.002 -0.005
H -0.73923 -5.52620 6.12492 -0.006 -0.002 0.001
H 0.22082 -4.76128 7.38522 0.000 0.005 0.003
H 1.69949 -5.28004 4.06720 0.001 0.003 0.001
H 2.24583 -3.45192 2.47464 0.004 -0.003 0.000
H 0.17626 -0.66329 4.95664 -0.008 -0.010 0.009
H -0.37606 -2.48643 6.54974 -0.001 -0.002 -0.002
H -1.15040 -2.71063 2.76962 -0.021 -0.023 0.085
H -2.21693 -4.50699 1.41632 0.013 0.011 0.020
H -2.09369 -4.42519 -1.06380 0.011 0.012 -0.041
H -0.89695 -2.48286 -2.13163 -0.008 -0.026 -0.007
O 1.82576 0.19030 -1.10417 -0.282 -0.050 0.105
O -1.12368 1.34870 -3.13393 0.301 0.182 0.185
C -1.24770 1.93301 -2.08155 -0.764 -0.514 -0.097
O -0.85816 1.42705 -0.91628 0.292 0.090 -0.103
C -2.02708 3.21078 -1.97534 0.246 0.057 0.094
C -2.53675 3.78323 -3.13445 0.026 -0.012 -0.074
C -3.27129 4.95625 -3.07285 -0.012 -0.003 -0.005
C -3.50689 5.56537 -1.85002 -0.040 0.055 -0.030
C -2.99341 4.97650 -0.71046 -0.009 -0.051 -0.047
C -2.25556 3.81048 -0.74604 0.035 -0.029 0.075
N -3.24821 5.61270 0.59557 0.092 -0.051 -0.105
O -3.88782 6.64124 0.60233 -0.146 0.195 -0.008
O -2.79751 5.07037 1.57968 0.057 -0.103 0.176
H -2.34516 3.28940 -4.07738 -0.001 0.010 -0.006
H -3.66488 5.39813 -3.97766 -0.001 0.006 -0.001
H -4.07763 6.47825 -1.76655 0.002 -0.002 -0.006
H -1.87436 3.38035 0.16705 0.009 0.001 0.001
```
Forces are in eV/Å.

Total charge: 0
Kohn-Sham gap (alpha / beta): 8.85 / 8.89 eV
2S+1: 2
LUMO (alpha / beta): -0.02211 / -0.02147 hartree
Energy relative to the best compared isomer or geometry (same formula, charge and spin): 0.8697 eV
-- stop --

But then, weeks later, the media is saying I said these things that I never said. Awful things.

I’ll give you an example: The New Rome Times, which is losing money left and right. Unreadable. Total trash. Hates the empire. But the New Rome Times says that I came to praise Caesar, which is totally false.

What I said was — and this is a direct quote — “I come to bury Caesar, not to praise him.” Not to praise him. How they get the exact opposite out of that, I don’t know. But that’s the media for you.

The Last Supper

I love Jesus, I do. But the guy can be long-winded. “Blessed are these people, Blessed are those people.” Basically, everybody’s blessed, but he’s gotta read through the whole Roman census before you find that out.

Like this one night, Jesus and his crew are one table away from me. And I’m hearing him go on and on about something. Won’t stop talking about it.

I can’t take it anymore. So I lean over. I say, “Jesus, you make a nice speech and all. Kind of belabor the point; Peter’s falling asleep over here. So let me cut to the chase: Someone’s gonna betray you tonight, and it’s Judas.”

Jesus gives me this look, like I’m the one who’s betrayed him.

I say, “C’mon, Jesus, it’s the worst kept secret in Jerusalem. Guy owes everybody in town money. Suddenly, he’s flashing 30 pieces of silver.” I love Jesus, but he’s probably still trying to figure out who killed Abel.

Problem is, Jesus never had a sense for business. Never did. Here’s a guy who can turn water into wine — and I know wine. Bought a vineyard, doing terrible business, I buy it, now it’s making a profit. Yuge, yuge profit. But here’s a guy who can turn water into wine; still pays for it when he goes out.

I’m like, “Jesus, just order water!” Or at least make Judas pay.

I mean, seriously, who finds a mole in his operation, invites the guy out to dinner?

Jesus, that’s who.

The Third Crusade

So, I tell the Knights Templar, “Richard the Lionheart? Please. Should be called Richard the Lazy Bastard. Seriously. He had one thing to do. One thing. Capture Jerusalem. What’s he do? Makes peace with Saladin.”

I ask Saladin about that, too. Sal’s a friend. I say, “Sal, what the hell happened?” He says, “Your guy’s no good. Can’t negotiate. Awful negotiator.”

Never would have happened if I led the Third Crusade. I know negotiators. If they ever invent the printing press, I plan on writing a book on it.

Hell, I know this one guy — awful guy, terrible human being — but he knows how to negotiate. Genghis Khan. Horrible human being. Great negotiator. I bring him in; Jerusalem is taken in two days. Tops.

The American Revolution

I would have people come up to me all the time and say, “Mr. Trump, Mr. Trump, you should lead our troops. You should have lead.” And I should have, because I would have ended the war, Day One.

I would have gone up to King George III, whom I know. I would have said, “Georgie, we’re leaving.”

He’d cry, he’d beg, he’d try to convince us to stay. I’d say, “No, no, no. Here’s the way it works: We leave, you get nothing, that’s the deal” And then I’d turn to the French, and I’d say, “And you … Thanks for the help. Now give us a statue. A woman. But not an ugly one.”

Papers would be signed the next morning.


Read the Rest

Mathematically Speaking, Even the Historical Conspiracy Theories Are Reality Somewhere

Leftists Secretly Gathering for History Book Conference

Actually By Cassidy Pen

From The National Report, August 25, 2015

Students across America will soon be taught the far left’s take on American History should proposals agreed on during high-level closed door meetings ever see the light of day.

A secret panel has convened to re-write history books in accordance with Common Core principles under the direction of civil rights leaders and advocacy groups. Unconfirmed, but reported attendees of the conference include President Obama, Secretary of Education Arne Duncan, Morris Dees of the Southern Poverty Law Center, GLAAD Executive Director Sarah Kate Ellis, and members of the “Black Lives Matter” group.

Dr. Cornel West was invited to the conference, but a prior commitment made him unavailable.

The meeting is being hosted by the Howard Zinn Education Project, which coordinates two non-profit organizations advocating what they claim to be “more accurate, complex, and engaging understanding of American History.” In other words, prepare for a socialist indoctrination of your children underwritten by one of the furthest left authors in American History…a naked socialist, if you will.

Topics of special urgency among the attendees include the Constitutional Convention, Causes of the Civil War, the 1960’s radical anti-war and civil rights movements, and a thorough rethinking of the Reagan Administration. The gathering wishes to expunge God from society and classify the Constitution as a secular document. The Civil War would be looked at as a class struggle, as will other noble wars fought during our nation’s growing period and development as a world leader. Special praise to the radical 60’s peace and civil rights movements and equal disdain for the Reagan Revolution are also proposed.

This is the kind of garbage that your children will be learning should this revisionist history be forced down their throats.

By Howard_Zinn_at_lectern.jpg: Jim from Stevens Point, WI, USA derivative work: Gobonobo (Howard_Zinn_at_lectern.jpg) [CC BY-SA 2.0 (], via Wikimedia Commons

By Howard_Zinn_at_lectern.jpg: Jim from Stevens Point, WI, USA derivative work: Gobonobo (Howard_Zinn_at_lectern.jpg) [CC BY-SA 2.0 (, via Wikimedia Commons

Howard Zinn, author of the popular screed, “The People’s History of the United States,” advocates abject Socialism under the guise of how America has oppressed working people, women, and minorities through a discriminatory capitalist system that rewards the rich and “continues to steal from everyone else.”

Read the Rest Here

Happy Fifth Anniversary to Us! (NSFW)

Today is the American Hysterical Society’s five-year (or 60-month, 1,825th-day, 43,800th-hour, 2,628,000th-minute, or 157,680,000th-second) anniversary! If the AHS were a child, according to some and among other things, we would want to please our friends, be like our friends, and agree with rules. We don’t actually want those things, but at this age we’d be able to do them if we did.

It’s been an amazing five years for us. We have published 658 posts, logged almost 73,000 visits, and assembled the largest catalog of humorous history and museum books, essays, cartoons, links, and songs on the planet. Not bad for a museum that doesn’t pay for collections or advertise itself.

That said, it has been a difficult year for us. The Society’s staff has gotten a little off-focus. Partly that’s because we have been thinking about some bigger projects (a series of books actually) which has taken time away from our daily work. We apologize for any inconvenience or boredom this has caused. We hope to remedy the situation with a series of strategic retreats and layoffs.

Still, as any five-year-old we like gifts. The traditional five-year anniversary gift is wood. With that in mind we would like to ask, in case you were thinking of getting us something, for these:


Story Here (cause you’re curious).

Not only are they rare examples of historic material culture, they are doubly suited to this particular anniversary.

And remember:

Idealism is what precedes experience; cynicism is what follows. David T. Wolf

Professor Murray’s Review of the WORST British Government Ever

Since the beginning of the twentieth century anyway.

NSFW (language)

OK, Hun…

Colonial Americans Were Like the Chinese of Today

Who says newer Americans have no connection to America’s early history?

From Fresh Off the Boat, “Gotta Be Me” (S2 E22)